Have you noticed your furry one munching on houseplants, plastic bags, cushions, wool, or anything easily available to them? If your cat is consuming non-edible food items, he or she is suffering from a condition called Pica Syndrome. Most of the time pet parents mistake this behaviour for their natural instinct to hunt, scratch, or play.
Experts were unable to detect the exact cause of this condition. However, they’ve speculated that it could be due to various reasons such as stress, anxiety, dietary deficiency, boredom, genetics, environmental factor, or compulsive behaviour. Cats who are weaned early are at a higher risk of suffering from this condition. Because, when weaned early their strong drive to nurse makes them suck on various materials around them. They mainly turn to woollen materials such as blankets, pillows, etc. for comfort, warmth, and nursing.
According to experts, you need not worry if you’re feline is simply sucking on wool or other soft fuzzy items. The main problem arises when they munch on wood, plastic, wires, or any such harmful objects. Chewing on plants that are not safe for them can cause severe health issues. They are also at a higher risk of choking from chewing a non-edible object. In such cases, you must consult a vet at the earliest.
Here’s what the experts suggest you can do to help your furry baby if he or she is suffering from this condition –
Remove targeted items –
One of the simplest solutions is to keep their targeted items out of their reach. You can hide the objects that they love to chew. You may also keep your furry one in the playpen away from all the household material.
Spend some more time with him or her –
Some felines chew on non-edible things out of boredom or loneliness. To help them stop this habit, you can start by making some more time for them and giving them all the attention they need. You could teach him or her to play a new game and even take them for a walk. Taking them outdoors can also help in diverting their mind off the chewing.
Give your cat something else to chew on –
You can give your cat a chewy toy, healthy treats, or toys with treats hidden inside them. It will help in keeping them active and stimulating their mind.
-- Crystal structures, kept here for reference --
- - -
No. 1
PBE-GGA Ta5Mn4Pd, relaxed; total DFT energy (no corrections) = -10.334 eV per atom; space group = P4/mmm, No. 123; magnetization = 0.0 Bohr magnetons per cell
1.0
3.0315 0.0000 0.0000
0.0000 3.0315 0.0000
0.0000 0.0000 16.1767
Ta Mn Pd
5 4 1
Direct
0.0000 0.0000 0.0000
0.0000 0.0000 0.1903
0.0000 0.0000 0.3808
0.0000 0.0000 0.6192
0.0000 0.0000 0.8097
0.5000 0.5000 0.0950
0.5000 0.5000 0.2855
0.5000 0.5000 0.7145
0.5000 0.5000 0.9050
0.5000 0.5000 0.5000


No. 2
PBE-GGA CeDyErMg, relaxed; total DFT energy (no corrections) = -4.087 eV per atom; space group = F-43m, No. 216; magnetization = 1.4 Bohr magnetons per cell
1.0
0.0000 3.8784 3.8784
3.8784 0.0000 3.8784
3.8784 3.8784 0.0000
Ce Dy Er Mg
1 1 1 1
Direct
0.0000 0.0000 0.0000
0.5000 0.5000 0.5000
0.2500 0.2500 0.2500
0.7500 0.7500 0.7500


No. 3
PBE-GGA CdIrOs2, relaxed; total DFT energy (no corrections) = -7.785 eV per atom; space group = R3m, No. 160; magnetization = 0.0 Bohr magnetons per cell
1.0
1.3944 0.8050 9.2911
-1.3944 0.8050 9.2911
0.0000 -1.6101 9.2911
Cd Ir Os
1 1 2
Direct
0.0000 0.0000 0.0000
0.2446 0.2446 0.2446
0.4998 0.4998 0.4998
0.7575 0.7575 0.7575


No. 4
PBE-GGA Pa3Sn5Se12, relaxed; raw formation energy = -13.335 eV/f.u.; space group = Ia-3d, No. 230; magnetization = 6.8 Bohr magnetons per cell
1.0
-8.4260 8.4260 8.4260
8.4260 -8.4260 8.4260
8.4260 8.4260 -8.4260
Pa Sn Se
12 20 48
Direct
0.1250 0.2500 0.3750
0.1250 0.3750 0.7500
0.2500 0.3750 0.1250
0.2500 0.8750 0.6250
0.3750 0.1250 0.2500
0.3750 0.7500 0.1250
0.6250 0.2500 0.8750
0.6250 0.8750 0.7500
0.7500 0.1250 0.3750
0.7500 0.6250 0.8750
0.8750 0.6250 0.2500
0.8750 0.7500 0.6250
0.0000 0.0000 0.0000
0.0000 0.0000 0.5000
0.0000 0.5000 0.0000
0.0000 0.5000 0.5000
0.1250 0.7500 0.8750
0.1250 0.8750 0.2500
0.2500 0.1250 0.8750
0.2500 0.6250 0.3750
0.3750 0.2500 0.6250
0.3750 0.6250 0.7500
0.5000 0.0000 0.0000
0.5000 0.0000 0.5000
0.5000 0.5000 0.0000
0.5000 0.5000 0.5000
0.6250 0.3750 0.2500
0.6250 0.7500 0.3750
0.7500 0.3750 0.6250
0.7500 0.8750 0.1250
0.8750 0.1250 0.7500
0.8750 0.2500 0.1250
0.0582 0.2266 0.1428
0.0582 0.3317 0.9154
0.0838 0.7266 0.6683
0.0838 0.8572 0.4154
0.0846 0.6428 0.4162
0.0846 0.9418 0.6683
0.1428 0.0582 0.2266
0.1428 0.5846 0.9162
0.1683 0.2266 0.5838
0.1683 0.4418 0.5846
0.2266 0.1428 0.0582
0.2266 0.5838 0.1683
0.2734 0.3317 0.9162
0.2734 0.4418 0.3572
0.3317 0.9154 0.0582
0.3317 0.9162 0.2734
0.3572 0.2734 0.4418
0.3572 0.5838 0.9154
0.4154 0.0838 0.8572
0.4154 0.8317 0.5582
0.4162 0.0846 0.6428
0.4162 0.8317 0.7734
0.4418 0.3572 0.2734
0.4418 0.5846 0.1683
0.5582 0.4154 0.8317
0.5582 0.6428 0.7266
0.5838 0.1683 0.2266
0.5838 0.9154 0.3572
0.5846 0.1683 0.4418
0.5846 0.9162 0.1428
0.6428 0.4162 0.0846
0.6428 0.7266 0.5582
0.6683 0.0838 0.7266
0.6683 0.0846 0.9418
0.7266 0.5582 0.6428
0.7266 0.6683 0.0838
0.7734 0.4162 0.8317
0.7734 0.8572 0.9418
0.8317 0.5582 0.4154
0.8317 0.7734 0.4162
0.8572 0.4154 0.0838
0.8572 0.9418 0.7734
0.9154 0.0582 0.3317
0.9154 0.3572 0.5838
- - -
-- The article goes on --
Make appealing things not so appealing –
Felines hate the citrusy smell! You can apply citrus-flavoured essential oils or citrusy air freshener to objects that are on your feline’s target. The smell will take their interest off that particular object.
Get rid of dangerous plants –
Plants such as Asparagus Fern, Aloe Vera, Lilies, etc are toxic to furry one’s health. You can find out more about which plants are dangerous to your furry one on ASPCA’s official website. If your feline is attracted to one of those plants, you must get rid of them as soon as possible.
Consult an animal behaviourist –
If your feline continues chewing on non-edible food items even after trying out these methods, if this is not a medical issue and if it is just a behavioral problem, you must reach out to an animal behaviourist. They can work closely with your veterinarian and provide the help your furry baby needs.
While following these methods, you must be patient and consistent. Slowly and gradually you can help your pet beat the pica syndrome and live a happy healthy life.